**Contents**
(1)
## YZn3P3 (PBE)

Data for an optimized crystal structure of YZn3P3.

Output
* formation energy from the elements: -608 meV/atom

Unit cell a=3.9967 b=3.9967 c=19.8836 alpha=90.00 beta=90.00 gamma=120.00
Space group P6_3/mmc (No. 194)
Asymmetric unit:
Y  0.0000  0.0000  0.0000 (multiplicity 2)
Zn  0.3333  0.6667  0.1283 (multiplicity 4)
Zn  0.3333  0.6667  0.7500 (multiplicity 2)
P  0.3333  0.6667  0.2500 (multiplicity 2)
P  0.3333  0.6667  0.5841 (multiplicity 4)

(2)
## Zn3P (PBE)

Data for an optimized crystal structure of Zn3P.

Output
* formation energy from the elements: 180 meV/atom
* magnetization: 0.0 μB per formula unit

Unit cell a=3.976 b=3.976 c=3.976 alpha=90.00 beta=90.00 gamma=90.00
Space group Pm-3m (No. 221)
Asymmetric unit:
Zn  0.000  0.000  0.500 (multiplicity 3)
P  0.500  0.500  0.500 (multiplicity 1)

~~~~~

1.
A plane-wave DFT calculation with meta-GGA r2SCAN was carried out for a relaxed structure of TiMn2.

Calculated values
Formation energy, eV per atom: -0.194

Unit cell a=5.0858 b=5.0858 c=7.7251 alpha=90.00 beta=90.00 gamma=120.00
Space group P6_3/mmc (No. 194)
One atom of each set of equivalent atoms:
Ti 0.3333 0.6667 0.0607 (multiplicity 4)
Mn 0.0000 0.0000 0.0000 (multiplicity 2)
Mn 0.1707 0.3414 0.7500 (multiplicity 6)


2.
A plane-wave DFT calculation with meta-GGA r2SCAN was carried out for a relaxed structure of Ce3CI5.

Calculated values
Formation energy, eV per atom: -1.473

Unit cell a=7.9588 b=9.7474 c=9.7985 alpha=107.19 beta=96.72 gamma=104.80
Space group P-1 (No. 2)
One atom of each set of equivalent atoms:
Ce 0.0311 0.2344 0.4218 (multiplicity 2)
Ce 0.1081 0.5401 0.2749 (multiplicity 2)
Ce 0.3820 0.6338 0.6800 (multiplicity 2)
C 0.0887 0.5302 0.5414 (multiplicity 2)
I 0.0902 0.8754 0.3181 (multiplicity 2)
I 0.1900 0.2279 0.1347 (multiplicity 2)
I 0.2603 0.5866 0.9658 (multiplicity 2)
I 0.3504 0.9587 0.7761 (multiplicity 2)
I 0.4531 0.3031 0.5954 (multiplicity 2)


3.
A plane-wave DFT calculation with meta-GGA r2SCAN was carried out for a relaxed structure of LiGd2Ga.

Calculated values
Formation energy, eV per atom: -0.335

Unit cell a=7.2693 b=7.2693 c=7.2693 alpha=90.00 beta=90.00 gamma=90.00
Space group Fm-3m (No. 225)
One atom of each set of equivalent atoms:
Li 0.0000 0.0000 0.0000 (multiplicity 4)
Gd 0.2500 0.2500 0.2500 (multiplicity 8)
Ga 0.0000 0.0000 0.5000 (multiplicity 4)


| no. | magnetic moment (μB/f.u.) | mass density (g/cm³) |
| --- | --- | --- |
| 1 | 1.728 | 6.1 |
| 2 | 3.981 | 5.2 |
| 3 | 15.308 | 6.8 |

~~~~~

Density functional theory data (PBE) for Sr3SbAs after structural relaxation.

POSCAR file:
```
Sr3SbAs
1.0
6.110 0.000 0.000
0.000 6.110 0.000
0.000 0.000 6.110
Sr As Sb
3 1 1
Direct
0.500 0.500 0.000 Sr
0.500 0.000 0.500 Sr
0.000 0.500 0.500 Sr
0.000 0.000 0.000 As
0.500 0.500 0.500 Sb
```

Results
energy relative to the lowest polymorph listed for this composition: 435.6 meV/atom
space group: Pm-3m, No. 221
ρ: 3.3 g/cm3

=====

Density functional theory data (PBE) for TePtPb after structural relaxation.

POSCAR file:
```
TePtPb
1.0
6.743 0.000 0.000
0.000 6.743 0.000
0.000 0.000 6.743
Pb Te Pt
4 4 4
Direct
0.630 0.630 0.630 Pb
0.870 0.370 0.130 Pb
0.130 0.870 0.370 Pb
0.370 0.130 0.870 Pb
0.370 0.370 0.370 Te
0.630 0.870 0.130 Te
0.870 0.130 0.630 Te
0.130 0.630 0.870 Te
0.509 0.009 0.491 Pt
0.491 0.509 0.009 Pt
0.991 0.991 0.991 Pt
0.009 0.491 0.509 Pt
```

Results
VASP energy: -4.65 eV per atom
space group: P2_13, No. 198
ρ: 11.5 g/cm3

**Job**
Could you echo all of the lines further above with every line break kept?

**Done**
(1)
## YZn3P3 (PBE)

Data for an optimized crystal structure of YZn3P3.

Output
* formation energy from the elements: -608 meV/atom

Unit cell a=3.9967 b=3.9967 c=19.8836 alpha=90.00 beta=90.00 gamma=120.00
Space group P6_3/mmc (No. 194)
Asymmetric unit:
Y  0.0000  0.0000  0.0000 (multiplicity 2)
Zn  0.3333  0.6667  0.1283 (multiplicity 4)
Zn  0.3333  0.6667  0.7500 (multiplicity 2)
P  0.3333  0.6667  0.2500 (multiplicity 2)
P  0.3333  0.6667  0.5841 (multiplicity 4)

(2)
## Zn3P (PBE)

Data for an optimized crystal structure of Zn3P.

Output
* formation energy from the elements: 180 meV/atom
* magnetization: 0.0 μB per formula unit

Unit cell a=3.976 b=3.976 c=3.976 alpha=90.00 beta=90.00 gamma=90.00
Space group Pm-3m (No. 221)
Asymmetric unit:
Zn  0.000  0.000  0.500 (multiplicity 3)
P  0.500  0.500  0.500 (multiplicity 1)

~~~~~

1.
A plane-wave DFT calculation with meta-GGA r2SCAN was carried out for a relaxed structure of TiMn2.

Calculated values
Formation energy, eV per atom: -0.194

Unit cell a=5.0858 b=5.0858 c=7.7251 alpha=90.00 beta=90.00 gamma=120.00
Space group P6_3/mmc (No. 194)
One atom of each set of equivalent atoms:
Ti 0.3333 0.6667 0.0607 (multiplicity 4)
Mn 0.0000 0.0000 0.0000 (multiplicity 2)
Mn 0.1707 0.3414 0.7500 (multiplicity 6)


2.
A plane-wave DFT calculation with meta-GGA r2SCAN was carried out for a relaxed structure of Ce3CI5.

Calculated values
Formation energy, eV per atom: -1.473

Unit cell a=7.9588 b=9.7474 c=9.7985 alpha=107.19 beta=96.72 gamma=104.80
Space group P-1 (No. 2)
One atom of each set of equivalent atoms:
Ce 0.0311 0.2344 0.4218 (multiplicity 2)
Ce 0.1081 0.5401 0.2749 (multiplicity 2)
Ce 0.3820 0.6338 0.6800 (multiplicity 2)
C 0.0887 0.5302 0.5414 (multiplicity 2)
I 0.0902 0.8754 0.3181 (multiplicity 2)
I 0.1900 0.2279 0.1347 (multiplicity 2)
I 0.2603 0.5866 0.9658 (multiplicity 2)
I 0.3504 0.9587 0.7761 (multiplicity 2)
I 0.4531 0.3031 0.5954 (multiplicity 2)


3.
A plane-wave DFT calculation with meta-GGA r2SCAN was carried out for a relaxed structure of LiGd2Ga.

Calculated values
Formation energy, eV per atom: -0.335

Unit cell a=7.2693 b=7.2693 c=7.2693 alpha=90.00 beta=90.00 gamma=90.00
Space group Fm-3m (No. 225)
One atom of each set of equivalent atoms:
Li 0.0000 0.0000 0.0000 (multiplicity 4)
Gd 0.2500 0.2500 0.2500 (multiplicity 8)
Ga 0.0000 0.0000 0.5000 (multiplicity 4)


| no. | magnetic moment (μB/f.u.) | mass density (g/cm³) |
| --- | --- | --- |
| 1 | 1.728 | 6.1 |
| 2 | 3.981 | 5.2 |
| 3 | 15.308 | 6.8 |

~~~~~

Density functional theory data (PBE) for Sr3SbAs after structural relaxation.

POSCAR file:
```
Sr3SbAs
1.0
6.110 0.000 0.000
0.000 6.110 0.000
0.000 0.000 6.110
Sr As Sb
3 1 1
Direct
0.500 0.500 0.000 Sr
0.500 0.000 0.500 Sr
0.000 0.500 0.500 Sr
0.000 0.000 0.000 As
0.500 0.500 0.500 Sb
```

Results
energy relative to the lowest polymorph listed for this composition: 435.6 meV/atom
space group: Pm-3m, No. 221
ρ: 3.3 g/cm3

=====

Density functional theory data (PBE) for TePtPb after structural relaxation.

POSCAR file:
```
TePtPb
1.0
6.743 0.000 0.000
0.000 6.743 0.000
0.000 0.000 6.743
Pb Te Pt
4 4 4
Direct
0.630 0.630 0.630 Pb
0.870 0.370 0.130 Pb
0.130 0.870 0.370 Pb
0.370 0.130 0.870 Pb
0.370 0.370 0.370 Te
0.630 0.870 0.130 Te
0.870 0.130 0.630 Te
0.130 0.630 0.870 Te
0.509 0.009 0.491 Pt
0.491 0.509 0.009 Pt
0.991 0.991 0.991 Pt
0.009 0.491 0.509 Pt
```

Results
VASP energy: -4.65 eV per atom
space group: P2_13, No. 198
ρ: 11.5 g/cm3